As has been mentioned in other articles, evolution is one of the more misunderstood theories ‌in biology.  This isn't because it is complicated.  Its beauty derives from its simplicity, but often the nuances that are overlooked.  

We hear about "survival of the fittest" and many immediately think of strength.  We hear about natural selection and many immediately focus on speciation.  Yet, the first claim is simply wrong, while the second isn't the most important element of the theory.

So, if it's not about strength or how species originated, then what is important.

The elegance of the Theory of Evolution is due to the concept of "fitness".  In its simplest sense, fitness refers to reproduction.  If you reproduce, "your kind" have another chance at life (1).  If one were to imagine an organism that had no competitors, no enemies, adequate resources, and a static environment then it could do whatever it wanted and survive.  It wouldn't matter if there were only one.  There would be no pressures to filter the reproduction process and there would be no evolution, beyond that which might occur by random errors.

Yet, even in this situation, we could make some predictions due to the nuances of the concept of "fitness".

Fitness requires that every organism survive long enough to reproduce.  So, even in our imaginary organism, there would still be selection pressures (2).  Those pressures would operate against random errors since there were no other elements to force change.  So one would expect to see more and more energy and development to ensure faithful reproduction of the parent organism, since the greatest threat to fitness would be the introduction of change.  If we were to consider the DNA model, then one might see more sophisticated error correction mechanisms.  In short, fitness would tend to converge towards uniform replication.

However, aside from our imaginary scenario, that isn't how things actually work.  There is the environment in which an organism finds itself, and potential competitors [NOTE:  Not predators and prey since they are not in competition] (3). So, true to any theory, evolution and natural selection allow us to make predictions about what we might expect to see happen.

In the following discussion it is taken as given that the environment is the primary factor affecting survival.

Obviously any creature will tend to be selected that possesses the minimum traits to survive and reproduce.  Any creature that doesn't, simply loses any opportunity to be represented in future generations.  Insofar as the developmental traits an organism possesses convey a benefit, only those that advance this capability will be represented in the future.

So, the first, almost trivial prediction from evolution is that we would expect to see all the organisms around us as being quite successful at the act of reproducing. This may seem obvious, but it does allow us to recognize those species that are robust versus those that are more readily threatened.  

Yet, reproducing isn't sufficient.  Offspring also have to survive.  So, again, we would expect to see traits that support organisms that are not just capable of reproducing but also having some means of ensuring that their offspring survive.  This provides a kind of generational overlap that ensures the continuity of a particular species.

In some cases this may involve parental involvement, in others it may simply be producing offspring in such huge numbers that probability is sufficient to ensure some degree of success.  Of course, once we have such processes in place, it is easier to predict that those organisms that have more opportunities to improve their offspring's chance for survival will also have greater representation in future generations.

Again, this could involve teaching offspring, it could simply involve protecting them.   Regardless of the process, we can use natural selection to predict that such a thing must exist and then we can examine a species behavior or traits to see how it achieves it.

Yet, natural selection is even more subtle than that.  Besides the organism, the specific traits necessary for increased fitness are also subject to selection.  Those traits are represented by a variety of phenotypic expressions that will determine form and function of the organism in question.

This can give rise to the impression that an organism is perfectly adapted to its environment, yet this would be missing the point.  It is precisely the environment that has shaped the organism.  The organism possesses the traits it does, because that is what the environmental filter it is subject to has "selected" for survival.  One doesn't discuss the usefulness of fins and gills for an animal living in desert sand, yet if we observed such a creature we would be forced to consider the role these structures play in promoting fitness.  

Moreover, natural selection then can also offer the ability to predict the persistence of traits in an organism.  As an example, the concept of vestigial organs is the antithesis of natural selection.  So, if we encounter something considered vestigial, what does evolution predict?

If an organ is vestigial, then it indicates that the organ cannot contribute to fitness.  It clearly doesn't require enough energy, nor does it incur a "cost" to the organism that has any material affect on fitness (4).  However, if an organ is considered vestigial and does incur a fitness cost, then we have a problem.  Such a claim is counter to what natural selection predicts, so it would appear that our concluding that an organ is vestigial, in that case, is probably wrong.

Any cost, no matter how small can impact fitness.  Why?  Unless we're using our imaginary organism mentioned in the beginning, then all organisms will have competitors for resources.  Whether it be for the same food, or the range, or something that is necessary for the organism to survive.  Therefore evolutionary "victory" invariably occurs to the organism that can capitalize on those resources faster or more efficiently than its competitors.  Efficiency may be producing more offspring, producing them faster, using less energy to do so, etc.  In every instance, there is a small but finite advantage accrued which will eventually result in such a competitor being capable of dominating the environment.  Once this occurs, the costs of survival to the other organism are increased [i.e. have to expend even more energy to acquire resources] and then their survival rate will diminish and the species will eventually go extinct (5).

From this we can see that natural selection isn't about strength or even speciation.  It is an explanatory theory that allows us to examine why we are the way we are [or any creature].  This is precisely why we share such a surprising heritage with other organisms.  Speciation is simply our classification process to show the subtle, but ultimately significant divergence experienced by varying levels of success (6).

Again, one of the success factors that can give rise to such speciation events, are to circumvent the competitive challenge of a superior species, by changing the rules of the game.  If you stop competing for the same resources, then an organism can gain an edge.  Cooperative social behaviors may create economies of scale over that of competitors.  From these simple processes, divergence begins.

In addition to the issues of natural selection, sexual selection must also be considered as a factor in determining traits present in a species.  However, this requires more careful consideration.  Sexual selection cannot trump natural selection.  In other words, a trait that reduces or is detrimental to fitness cannot prevail.  It cannot be made to prevail simply because it may be sexually selected for.  In that case, the selection process would be maladaptive.

Therefore when one considers sexual selection it can only play a role if it enhances fitness [i.e. accelerates natural selection] or has no fitness impact (7).  In the latter case, it would be exceedingly difficult to explain the presence of a trait since it may appear to be selected for, but it incurs no fitness cost whether it exists or not.

In that sense, sexual selection becomes a secondary selection pressure [as well as numerous other micro-selection pressures that may exist] and consequently acts as a secondary filter that is exerted upon a pool of viable mates that already meet the basic survival criteria.

(1) While evolution is often viewed from the perspective of individuals, it is important to remember that evolution operates on populations, not individuals.  Therefore, it is insufficient for individuals to succeed alone.  As a result, natural selection must favor the population for a species to be viable.

**Unrelated to this entry: materials data**
=====
[1]
DFT (PBE) results for Li2Mg3Pb after structural relaxation.

Space group   C2/m, No. 12
Formation energy   -0.75 eV per formula unit

Unit cell a=7.098 b=7.098 c=9.658 alpha=114.23 beta=114.23 gamma=36.86
Sites, in units of the cell vectors:
Li: 0.037 0.037 0.381
Li: 0.286 0.286 0.620
Li: 0.714 0.714 0.380
Li: 0.963 0.963 0.619
Mg: 0.121 0.121 0.127
Mg: 0.208 0.208 0.870
Mg: 0.459 0.459 0.132
Mg: 0.541 0.541 0.868
Mg: 0.792 0.792 0.130
Mg: 0.879 0.879 0.873
Pb: 0.366 0.366 0.383
Pb: 0.634 0.634 0.617

=====

[2]
DFT (PBE) results for Zr2TlSb2 after structural relaxation.

Raw formation energy   -0.2851 eV/atom
Space group   P4/mbm, No. 127

Unit cell a=8.297 b=8.297 c=3.696 alpha=90.00 beta=90.00 gamma=90.00
Sites, in units of the cell vectors:
Zr: 0.138 0.362 0.000
Zr: 0.362 0.862 0.000
Zr: 0.638 0.138 0.000
Zr: 0.862 0.638 0.000
Tl: 0.000 0.000 0.500
Tl: 0.500 0.500 0.500
Sb: 0.147 0.647 0.500
Sb: 0.353 0.147 0.500
Sb: 0.647 0.853 0.500
Sb: 0.853 0.353 0.500

=====

Number 1: E -2.178 eV/atom, density 3.710 g cm⁻³, relative energy among the computed polymorphs 0.000 eV/atom. Number 2: E -5.827 eV/atom, density 8.228 g cm⁻³, relative energy among the computed polymorphs 0.155 eV/atom.


# Ta2CdSe4I2 (PBE-GGA, relaxed)
data_Ta2CdSe4I2
_chemical_formula_sum 'Ta2 Cd1 Se4 I2'
_space_group_name_H-M_alt 'P 3 m 1'
_space_group_IT_number 156
_space_group_name_Hall 'P 3 -2"'
_cell_length_a 3.6477
_cell_length_b 3.6477
_cell_length_c 22.3996
_cell_angle_alpha 90.00
_cell_angle_beta 90.00
_cell_angle_gamma 120.00
loop_
_atom_site_label
_atom_site_type_symbol
_atom_site_fract_x
_atom_site_fract_y
_atom_site_fract_z
Ta1 Ta 0.0000 0.0000 0.0000
Ta2 Ta 0.3333 0.6667 0.3106
Cd1 Cd 0.3333 0.6667 0.6666
Se1 Se 0.0000 0.0000 0.2383
Se2 Se 0.0000 0.0000 0.3834
Se3 Se 0.3333 0.6667 0.0724
Se4 Se 0.3333 0.6667 0.9273
I1 I 0.0000 0.0000 0.5742
I2 I 0.0000 0.0000 0.7589
# Energy relative to the elements, uncorrected: -0.535 eV per atom
# DFT total energy: -5.16 eV per atom


The following is a DFT calculation (PBE) of an optimized crystal structure of NiHgBr3.

As for the density: 4.91 Mg/m³. The density of states at the Fermi level is 57.903 states/eV/cell. As for the total energy: -8.55 eV/f.u.

It has space group Pm-3m (No. 221), with a = 5.5259 Å, b = 5.5259 Å, c = 5.5259 Å, α = 90.00°, β = 90.00° and γ = 90.00°. The asymmetric unit holds Ni at (0.0000, 0.0000, 0.0000), Hg at (0.5000, 0.5000, 0.5000) and Br at (0.0000, 0.5000, 0.5000).

The following is a DFT calculation (PBE) of an optimized crystal structure of Ni2HgBr.

As for the density: 8.81 Mg/m³. The density of states at the Fermi level is 4.873 states/eV/cell. As for the total energy: -11.41 eV/f.u.

It has space group Pmmm (No. 47), with a = 3.1975 Å, b = 4.0251 Å, c = 5.8271 Å, α = 90.00°, β = 90.00° and γ = 90.00°. The asymmetric unit holds Ni at (0.0000, 0.0000, 0.0000), Ni at (0.5000, 0.0000, 0.5000), Hg at (0.0000, 0.5000, 0.5000) and Br at (0.5000, 0.5000, 0.0000).
=====
**The materials data stop here**

(2) The term "selection" often invokes a sense of purpose or direction in evolution.  However, there is no directed effort in determining survival.  Consequently the term "selection" is intended to convey the idea that an organism's survival is somehow contingent on its traits.  For example, falling off a cliff or being struck by lightning are not selection mechanisms although they may certainly have consequences for a population.  It is equally important to recognize that selection doesn't account for all traits, but only those that are capable of having a material effect on fitness.  For example, blue eyes may have no direct fitness effect [i.e. it doesn't specifically effect survival], but they may have a sexual selection component that allows such traits to extend into a population, but since there are no direct fitness consequences they represent a secondary selection criteria.

(3) Predators and prey are not direct competitors.  They represent a different kind of selection pressure in the same way that environmental influences do.  

(4) Fitness "costs" are often invoked to raise the question of why a particular trait exists or persists in a population.  Yet, this question is meaningless if there are no resource constraints that will affect fitness.  Everything "costs" something.  If that were the sole criteria of natural selection, then there wouldn't be any multicellular organisms [or life for that matter].  

(5) Depending on all the combined factors of organism traits and the environment, it is also possible for populations to achieve a kind of equilibrium where neither group achieves a sufficient advantage to dominate the environment.  Clearly in such situations, then any particular change can create an imbalance that accelerates an advantage or disadvantage in a short period of time.

(6) Much confusion occurs regarding gradual changes giving rise to speciation.  Usually the problem occurs because comparisons between radically different species are used.  This overlooks the millions of years necessary for such changes to manifest.  For example, it is easy to see the differences in dog breeds as a result of artificial selection.  Yet, the argument is often made that they are still all dogs and don't represent different species.  However, let's consider that all these different breeds have different characteristics.  Some may be stronger, bigger, smaller, faster, etc.  If we take these basic traits and now speculate how they would operate under natural selection, we can begin to see how this works.  The most obvious issue occurs because of size differences in animals which restricts breeding.  It doesn't matter that they are all genetically "dogs" at this point, this simply marks the beginning of whatever evolutionary trajectory they will follow individually according to their breed.  As their respective requirements for food change [because of differing abilities], then little traits that allow them to be better at something will begin to manifest.  Over a sufficiently long period of time, such differences may well have diverged to the point of where they are considered completely different species.  Some may go extinct, while others dominate.  However, there is little doubt that they would diverge because of their differing starting points. Contrary to some popular myths, such transitions do not typically occur in a single generation.

(7) Traits due to sexual selection are more apt to occur when there is an abundance of suitable mates.  In other words, the fitness of the population must already be assured against competitors.  Under those circumstances, then sexual selection can promote or attentuate other traits as long as it doesn't diminish the population's fitness.